In an effort to raise awareness for breast cancer on Mother's Day, many Major League Baseball players will use pink bats.  And to raise awareness for steroid abuse, they'll use tiny, shriveled balls. 

Someone pasted records of crystals at this point >
'''
## Nd2GePb (PBE)

Data for a relaxed structure of Nd2GePb.

DOS at the Fermi energy	2.85	states/eV/f.u.
total magnetic moment	0.0	μB per formula unit
space group	P2_1/m
energy of formation	-0.680	eV per atom

Unit cell a=6.2763 b=4.2755 c=8.9903 alpha=90.00 beta=107.99 gamma=90.00
Fractional positions:
1 Nd 0.1849 0.2500 0.4196
2 Nd 0.2774 0.7500 0.0571
3 Nd 0.7226 0.2500 0.9429
'''
So much for the records of crystals >

Quarterback Brett Favre said this week that he may not stay retired.  Because when you think Brett Favre, you think of at least one broken record. 

Two racy lingerie photos of Miss USA contestant Carrie Prejean have appeared online, and many of her supporters believe it's all an attempt to scrutinize her opinion of gay marriage.  Others believe it's a really clever ploy to convert Perez Hilton. 

A man in Texas is auctioning off the original recipe for Dr. Pepper, which he found in an old book he bought years ago.  In case you haven't seen it, here it is:  Mr. Pibb + PhD.

A new management team has been put in charge of reviving MySpace, whose popularity has been declining as Facebook's has risen.  Their new slogan: "MySpace.  Now safer than craigslist!"

A man in Georgia is recovering after becoming the first US recipient of a double hand transplant.  Fans of Wolverine called it "life imitating art";  fans of Star Trek called it "a double blind date". 

California Governor Arnold Schwarzenegger said Tuesday that it is time for a debate on whether to legalize marijuana.  He came to the idea after his buddies finally showed him how much cooler Conan the Barbarian is if you watch it while listening to "Dark Side of the Moon". 

Two people in Alaska will split a jackpot of nearly 284,000 dollars after guessing the exact minute that the ice on the Tanana River would break apart.  Said the winners, "Man, we really need a casino."

President Obama and Vice President Biden on Tuesday had their weekly lunch meeting at a hamburger restaurant in Rosslyn, Virginia.  They got the idea after asking America if they want their national debt super sized. 

Susan Boyle's performance on "Britain's Got Talent" has become the number 5 most watched viral Internet video of all time.  And if it weren't for all those American frat boys getting hit in the groin on camera, she'd be number 1. 

According to a new survey, the French spend more time sleeping than any other country.  Which should come as no surprise because they really love watching soccer.

The New Orleans Saints released two players for exposing themselves to women in a parking lot.  As opposed to the Detroit Lions, who choose to wait until taking the field to show their ass.

Most of the above are now a part of the National Lampoon Sports Minute and submitted to Saturday Night Live's Weekend Update.